The reader should search the entries below for the word "relaxed" and write out each line that has it.

<<<
Record 1
A plane-wave DFT calculation with GGA-PBE was carried out for crystalline KGd at its relaxed geometry.

Symmetry: F-43m (216)
Excess energy over the best structure of this formula in the dataset: 1.343 eV/atom
Calculated total energy: -1.05 eV/atom

a = 6.105 Å, b = 6.105 Å, c = 6.105 Å
α = 60.00°, β = 60.00°, γ = 60.00°
Each line ends with the local moment (μB).
Fractional positions:
1 Gd 0.000 0.000 0.000  0.85
2 K 0.250 0.250 0.250  0.04


Record 2
A plane-wave DFT calculation with GGA-PBE was carried out for crystalline TbHSe at its relaxed geometry.

Symmetry: P-6m2 (187)
Calculated total energy: -5.29 eV/atom

a = 3.851 Å, b = 3.851 Å, c = 3.917 Å
α = 90.00°, β = 90.00°, γ = 120.00°
Fractional positions:
1 H 0.667 0.333 0.000
2 Se 0.333 0.667 0.500
3 Tb 0.000 0.000 0.000


Record 3
A plane-wave DFT calculation with GGA-PBE was carried out for crystalline DyGeTe at its relaxed geometry.

Symmetry: F-43m (216)
Calculated total energy: -4.46 eV/atom

a = 5.031 Å, b = 5.031 Å, c = 5.031 Å
α = 60.00°, β = 60.00°, γ = 60.00°
Fractional positions:
1 Dy 0.000 0.000 0.000
2 Ge 0.250 0.250 0.250
3 Te 0.750 0.750 0.750
>>>

A plane-wave DFT calculation with GGA-PBE was carried out for crystalline KGd at its relaxed geometry.
A plane-wave DFT calculation with GGA-PBE was carried out for crystalline TbHSe at its relaxed geometry.
A plane-wave DFT calculation with GGA-PBE was carried out for crystalline DyGeTe at its relaxed geometry.